Just the Right Book is a podcast hosted by Roxanne Coady, owner of famous independent bookstore R.J. Julia Booksellers in Madison, CT, that will help you discov...
The Emotional Legacy of the Holocaust with Judy Batalion
In this episode of Just the Right Book, Judy Batalion joins Roxanne to discuss her book, The Light of Days, out now from William Morrow & Company.Buy the book from RJ Julia:The Light of Days - Judy BatalionSign up for our podcast newsletterJust The Right Book SubscriptionPromo Code (15% off): PodcastEmail us at: [email protected]
Senator Chris Murphy: How Do We Solve the Violence Inside Us
This week on Just the Right Book with Roxanne Coady, we revisit our conversation with Senator Chris Murphy where he discussed his book The Violence Inside Us: A Brief History of an Ongoing American Tragedy. Elected in 2012 as the youngest member of the U.S. Senate, Chris Murphy has earned a reputation as a serious legislator who is willing to stand up for his principles and reach across the aisle. Since the Newtown school shooting in December 2012, he has also become the best-known leader in Congress in confronting the plague of gun violence in America. Now in his second term representing Connecticut, he and his wife, Cathy, an attorney, have two young sons, Owen and Rider. Related Episodes: Senator Will Haskell John McCain in His Own Words Discover more books at RJ Julia Booksellers.Buy the book from RJ Julia:The Violence Inside Us - Chris MurphySign up for our podcast newsletterJust The Right Book SubscriptionPromo Code (15% off): PodcastEmail us at: [email protected]
An Epic Journey from Slavery to Freedom with Ilyon Woo
Ilyon Woo just won the Pulitzer Prize for biography this week! Her book, Master Slave Husband Wife: An Epic Journey from Slavery to Freedom is now available in paperback. Buy the paperback book from RJ Julia: Master Slave Husband Wife from RJ Julia - Ilyon Woo Sign up for our podcast newsletter Just The Right Book Subscription Promo Code (15% off): Podcast Email us at: [email protected]
Tim Wu on the Corporate Dangers of a Return to Fascism
In this episode of Just the Right Book with Roxanne Coady, we revisit our conversation with Tim Wu to discuss his book, The Curse of Bigness, now available in paperback and which examines the history of antitrust actions in the 20th century, making the argument that breaking up today's largest high-tech titans would be good for business as well as our democracy. Buy the book from RJ Julia: The Curse of Bigness - Tim WuSign up for our podcast newsletterJust The Right Book SubscriptionPromo Code (15% off): PodcastEmail us at: [email protected]
## These calculated crystals were left in the text by mistake
____________
Computed, not measured: an optimized crystal structure of Cs2Li14Tb3O14 at the PBE-GGA level of DFT.

Results
E_tot in eV per cell: -179.0
SG: Immm, No. 71
Size of the total moment in μB/f.u.: 3.000
E_form in eV/atom: -2.33

Cell: 8.672 8.672 8.672 Å, 128.80 123.36 79.83°
Element x y z (fractional)
Cs 0.000 0.234 0.234
Cs 0.000 0.766 0.766
Li 0.084 0.232 0.852
Li 0.213 0.141 0.620
Li 0.213 0.593 0.072
Li 0.345 0.500 0.845
Li 0.380 0.232 0.148
Li 0.479 0.407 0.620
Li 0.479 0.859 0.072
Li 0.521 0.141 0.928
Li 0.521 0.593 0.380
Li 0.620 0.768 0.852
Li 0.655 0.500 0.155
Li 0.787 0.407 0.928
Li 0.787 0.859 0.380
Li 0.916 0.768 0.148
Tb 0.232 0.732 0.500
Tb 0.500 0.000 0.500
Tb 0.768 0.268 0.500
O 0.092 0.370 0.722
O 0.186 0.869 0.317
O 0.254 0.052 0.799
O 0.254 0.455 0.201
O 0.351 0.630 0.722
O 0.448 0.131 0.317
O 0.500 0.298 0.798
O 0.500 0.702 0.202
O 0.552 0.869 0.683
O 0.649 0.370 0.278
O 0.746 0.545 0.799
O 0.746 0.948 0.201
O 0.814 0.131 0.683
O 0.908 0.630 0.278


First-principles (PBE) data for crystalline Ho2Co17 at its relaxed geometry, as listed in the Materials Project.

## Properties
Energy (eV/f.u.): -131.955
M_tot (μB per atom): 1.33

Cell lengths 8.280, 8.280, 8.082 Å; angles 90.00, 90.00, 120.00 degrees
Sites, in units of the cell vectors:
Ho1 0.000 0.000 0.250
Ho2 0.000 0.000 0.750
Ho3 0.333 0.667 0.250
Ho4 0.667 0.333 0.750
Co1 0.000 0.500 0.000
Co2 0.000 0.500 0.500
Co3 0.046 0.374 0.750
Co4 0.046 0.672 0.750
Co5 0.167 0.333 0.022
Co6 0.167 0.333 0.478
Co7 0.167 0.833 0.022
Co8 0.167 0.833 0.478
Co9 0.328 0.374 0.750
Co10 0.328 0.954 0.750
Co11 0.333 0.167 0.522
Co12 0.333 0.167 0.978
Co13 0.333 0.667 0.606
Co14 0.333 0.667 0.894
Co15 0.374 0.046 0.250
Co16 0.374 0.328 0.250
Co17 0.500 0.000 0.000
Co18 0.500 0.000 0.500
Co19 0.500 0.500 0.000
Co20 0.500 0.500 0.500
Co21 0.626 0.672 0.750
Co22 0.626 0.954 0.750
Co23 0.667 0.333 0.106
Co24 0.667 0.333 0.394
Co25 0.667 0.833 0.022
Co26 0.667 0.833 0.478
Co27 0.672 0.046 0.250
Co28 0.672 0.626 0.250
Co29 0.833 0.167 0.522
Co30 0.833 0.167 0.978
Co31 0.833 0.667 0.522
Co32 0.833 0.667 0.978
Co33 0.954 0.328 0.250
Co34 0.954 0.626 0.250

First-principles (PBE) data for crystalline Ho4Co at its relaxed geometry, as listed in the Materials Project.

## Properties
Energy (eV/f.u.): -23.939
M_tot (μB per atom): 0.00

Cell lengths 7.444, 7.444, 7.444 Å; angles 60.00, 60.00, 60.00 degrees
Sites, in units of the cell vectors:
Ho1 0.220 0.760 0.760
Ho2 0.240 0.240 0.240
Ho3 0.240 0.240 0.780
Ho4 0.240 0.780 0.240
Ho5 0.760 0.220 0.760
Ho6 0.760 0.760 0.220
Ho7 0.760 0.760 0.760
Ho8 0.780 0.240 0.240
Co1 0.375 0.375 0.375
Co2 0.625 0.625 0.625

First-principles (PBE) data for crystalline Ho3In4Co2 at its relaxed geometry, as listed in the Materials Project.

## Properties
Energy (eV/f.u.): -40.993
M_tot (μB per atom): 0.02

Cell lengths 8.117, 8.117, 3.534 Å; angles 90.00, 90.00, 120.00 degrees
Sites, in units of the cell vectors:
Ho1 0.078 0.408 0.000
Ho2 0.330 0.922 0.000
Ho3 0.592 0.670 0.000
____________
How to Find God in a World Full of Disappointment with Anthony Kronman
In this episode of Just the Right Book with Roxanne Coady, she is joined by Anthony T. Kronman to discuss his book, After Disbelief: On Disenchantment, Disappointment, Eternity, and Joy, out now from Yale University Press. Anthony Kronman is Sterling Professor of Law and a former dean at Yale Law School. He is the author of Confessions of a Born-Again Pagan and Education’s End: Why Our Colleges and Universities Have Given Up on the Meaning of Life. He lives on Block Island, Rhode Island. Buy the book from RJ Julia: After Disbelief: On Disenchantment, Disappointment, Eternity, and JoySign up for our podcast newsletterJust The Right Book SubscriptionPromo Code (15% off): PodcastEmail us at: [email protected]
Just the Right Book is a podcast hosted by Roxanne Coady, owner of famous independent bookstore R.J. Julia Booksellers in Madison, CT, that will help you discover new and note-worthy books in all genres, give you unique insights into your favorite authors, and bring you up to date with what’s happening in the literary world.